Data.
<<<
A plane-wave DFT calculation with PBE-GGA was carried out for a geometry-optimized CaLa14Mg structure.

```
CaLa14Mg
1.0
-6.070 -4.233 0.490
0.515 -1.577 -7.229
5.985 -8.322 2.243
La Ca Mg
14 1 1
direct
0.375 0.875 0.500
0.875 0.875 0.000
0.375 0.375 0.000
0.875 0.375 0.500
0.619 0.131 0.249
0.619 0.131 0.751
0.619 0.619 0.249
0.131 0.131 0.751
0.375 0.875 0.000
0.875 0.375 0.000
0.131 0.619 0.249
0.619 0.619 0.751
0.131 0.131 0.249
0.131 0.619 0.751
0.875 0.875 0.500
0.375 0.375 0.500
```
>>>

Brief.
It remains to work out how many lines earlier on have the word "for" in them; a number is enough.

Response.
1